Extinction Rebellion: The birthday party we really didn’t want
It’s been five years since Extinction Rebellion (XR) charged into our national consciousness and brought the (non-violent) battle to stop climate change to the streets. Mark Engineer of XR Lewes reflects what’s been achieved, what’s failed, and why being a ‘rebel’ continues to give him hope.
On October 31st 2018 I headed up to London to join a gathering of something called Extinction Rebellion. I’d read about it in the paper and thought I’d check it out. I wasn’t expecting much. A few burned out hippies. Some banners. Some terrible songs. But I was desperate enough to try anything.
It was a bright day, and very cold. As I rounded the corner and saw Parliament Square, a line of brightly-coloured flags streamed in the wind. There seemed to be quite a decent turnout.
I met some other people, all of them lovely, and all of whom seemed to be feeling the way I was feeling. I listened to some speeches. One of them was by a tiny Swedish schoolgirl called Greta Thunberg, who I’d vaguely heard of. She seemed terribly shy, looking downwards as she spoke, and struggling to make herself heard over the noise of the wind.
We sat down in the road and held up the traffic. I’d never done anything like that before. It was not a comfortable experience, but I took strength from the people around me.
All in all, it was not at all what I’d expected. (Except for the songs. They were pretty terrible. I got that bit right.)
Five years on and the world seems very different. October 31st 2023 was warm, weirdly warm, and very wet, an indication of the increasingly unusual climate and weather patterns. XR now has some pretty good songs. And as for that shy Scandinavian teenager, what a towering figure she’s become – not only the most well-known activist in the world, but one of the most famous people. So famous that you only need to use her first name and people will know who you’re talking about.
And as for the climate and environmental emergency….Well.
Next to the text, the page also holds materials data:
- - -
[1]
Density functional theory data (r²SCAN) for crystalline YbSmHg2 at its relaxed geometry.

## Properties
E_form	-0.561	eV/atom
total magnetic moment	0.000	μB/atom

POSCAR file:
```
YbSmHg2
1.0
3.318 2.177 3.419
-1.837 2.286 4.340
0.787 -2.235 4.672
Hg Yb Sm
2 1 1
Cartesian
0.567 0.557 3.108 Hg
1.701 1.672 9.323 Hg
0.000 0.000 0.000 Yb
1.134 1.114 6.215 Sm
```

[2]
Density functional theory data (r²SCAN) for crystalline CsSmO2 at its relaxed geometry.

## Properties
E_form	-2.826	eV/atom
total magnetic moment	0.000	μB/atom

POSCAR file:
```
CsSmO2
1.0
3.626 0.000 0.000
-1.813 3.141 0.000
0.000 0.000 13.749
O Sm Cs
4 2 2
Cartesian
0.000 2.094 5.715 O
0.000 2.094 1.160 O
1.813 1.047 12.590 O
1.813 1.047 8.034 O
0.000 0.000 6.875 Sm
0.000 0.000 0.000 Sm
1.813 1.047 3.437 Cs
0.000 2.094 10.312 Cs
```

[3]
Density functional theory data (r²SCAN) for crystalline SrAg at its relaxed geometry.

## Properties
E_form	-0.272	eV/atom
total magnetic moment	0.000	μB/atom

POSCAR file:
```
SrAg
1.0
-4.155 -2.162 -0.627
2.757 -5.630 1.146
-3.357 1.696 16.410
Sr Ag
8 8
Cartesian
-0.753 -3.881 9.480 Sr
-3.809 -1.315 3.069 Sr
-5.656 -1.416 15.665 Sr
0.902 -4.680 1.264 Sr
-4.166 -3.166 11.824 Sr
-0.588 -2.930 5.106 Sr
-4.001 -2.216 7.450 Sr
-0.945 -4.781 13.861 Sr
-5.272 -0.534 10.076 Ag
-2.340 -5.230 6.836 Ag
-0.686 -1.816 1.909 Ag
-4.068 -4.281 15.020 Ag
-2.217 -4.193 2.443 Ag
0.518 -5.563 6.854 Ag
-2.537 -1.904 14.487 Ag
-2.415 -0.867 10.094 Ag
```

[4]
Density functional theory data (r²SCAN) for crystalline HfV2H4 at its relaxed geometry.

## Properties
E_form	-0.350	eV/atom
total magnetic moment	0.000	μB/atom

POSCAR file:
```
HfV2H4
1.0
-4.648 2.853 0.013
1.371 -2.876 4.345
4.718 2.594 0.231
H V Hf
8 4 2
Cartesian
0.198 4.401 0.727 H
1.243 -1.830 3.862 H
-0.639 1.631 3.407 H
3.016 0.526 3.949 H
-1.575 2.044 0.640 H
2.080 0.939 1.182 H
1.923 2.653 2.361 H
-0.482 -0.082 2.228 H
0.720 1.285 2.295 V
1.406 -0.153 4.467 V
0.686 -1.438 2.172 V
3.045 -0.141 2.288 V
-1.697 -0.053 3.841 Hf
3.138 2.623 0.749 Hf
```

[5]
Density functional theory data (r²SCAN) for crystalline Hf2Al3Cu at its relaxed geometry.

## Properties
E_form	-0.504	eV/atom
total magnetic moment	0.000	μB/atom

POSCAR file:
```
Hf2Al3Cu
1.0
4.401 -2.617 0.002
4.401 2.617 0.002
2.842 0.000 4.258
Hf Cu Al
2 1 3
Cartesian
1.454 0.000 0.532 Hf
10.189 0.000 3.730 Hf
5.822 0.000 2.131 Cu
3.622 1.308 2.130 Al
4.401 0.000 0.002 Al
3.622 -1.308 2.130 Al
```

[6]
Density functional theory data (r²SCAN) for crystalline SrPb at its relaxed geometry.

## Properties
E_form	-0.701	eV/atom
total magnetic moment	0.000	μB/atom

POSCAR file:
```
SrPb
1.0
4.683 0.000 0.000
0.000 4.728 -1.940
0.000 -0.042 6.630
Pb Sr
2 2
Cartesian
3.512 1.933 4.711 Pb
1.171 2.754 -0.020 Pb
1.171 4.069 3.185 Sr
3.512 0.618 1.505 Sr
```

[7]
Density functional theory data (r²SCAN) for crystalline Ba5Sb3 at its relaxed geometry.

## Properties
E_form	-1.177	eV/atom
total magnetic moment	0.125	μB/atom

POSCAR file:
```
Ba5Sb3
1.0
- - -
There have been some wins. The Emergency is now firmly set in the public consciousness. The UK Parliament has declared a climate emergency, and enshrined Net Zero into law. Citizens’ Assemblies – one of XR’s core demands – are now a reality, although their decisions are “advisory rather than binding”, and politicians can (and do) ignore them.
But by any real standards, we’ve failed. Emissions are still rising. (When we set out, we called for Net Zero by 2025. How’s that going?) The drilling continues. The mining continues. The deforestation, destructive agriculture, poisoning of rivers, the overfishing. All of them continue.
Petrostates announce huge expansion plans. Our Government commits to a policy of “drill, baby, drill.” And we as a species continue merrily on the path to our own destruction. No. Not merrily. Many of us recognise it and wish it were otherwise. But we just don’t seem to know what else to do.
“This is the birthday party we really didn’t want!” raged an email I received from XR’s central comms team. And I get that. I really do. But I can’t feel completely depressed. Because I have no doubt that XR as a movement has changed the world, and I’m proud to have played a small part in that. I have met many amazing people and been awed by their passion and determination. Most of all, it’s been the camaraderie. The way rebels have drawn strength from one another, increased each other’s understanding. This is a wonderful thing, and it still gives me hope.
You’ve taken the time to read this far, which suggests that you’re engaged, and you recognise the urgency. The need for us all to act. That gives me hope too.
That desire to act springs from the best parts of us; the compassion, the kindness, the desire to protect. Our love of our fellow humans, of nature, of this extraordinary place we call home. All of this gives me hope. Hope that the human spirit can rise to meet this greatest of all crises.
So what now?
So…is it a case of unhappy birthday, XR? Well, to my mind, not exactly. It’s true that it would be far better if there had never been a need to start XR at all. But being part of it remains one of the best and most inspiring things I’ve ever done. So (selfishly perhaps), I can’t feel completely dispirited about it.
Perhaps we were naïve to think that by now we wouldn’t be needed. It seems XR and organisations like it are needed more than ever. And as always, we need people. If you’d like to get involved locally you can email Lewes XR on Or you could visit https://extinctionrebellion.uk
You could get involved with national campaigns like Dirty Water, and take the fight to polluting water companies. Or Cut The Ties, taking action against the many, many organisations with links to the fossil fuel industry. Or getting involved in organising community assemblies, or Money Rebellion. Or take on a regional organising role. Or…but I’ll stop there. You get the picture. There’s plenty to do! You will never be bored, and never feel like you’re doing it alone.